Rosario Murillo’s Orders during the Crisis

The failure to “take” Managua on April 20th
The logbook of e-mails sent by Rosario Murillo between April 19th to 25th
By Wilfredo Miranda Aburto (Confidencial)
HAVANA TIMES – The orders that Rosario Murillo, acting as the FSLN’s national chief, sent to her political secretaries in public institutions of Managua during the first days of the April rebellion, reveal the strategy with which the government tried to deal with the social discontent that exploded on April 18th.
These actions included an emergency meeting in the Japanese Park auditorium, a plan to occupy 61 “emblematic points” of Managua, chains of prayer to advocate for peace, the mobilization of public employees to take to the streets and an intense propaganda campaign on official TV channels.
Faced with the failure of this political strategy, then came the brutal police and paramilitary repression that claimed the lives of more than 325 people.
Confidencial has in its possession eight emails and directives that Rosario Murillo sent between April 19-25, addressed to the political secretaries of the FSLN in public institutions and the districts of Managua, endorsed by the Managua Departmental Committee of the Sandinista Front (FSLN). The list includes more than 200 individual mails from the Sandinista Leadership Council (CLS in Spanish), organized in all public institutions, as well as closed lists of territorial political secretaries, and members of the cabinet and diplomatic service.
(Data records, as found in the file)
........
Below is a relaxed Mg6FeSiO8 crystal, with properties calculated at the PBE with a Hubbard U level.

Lattice parameters (Å, degrees): 4.3155 4.3155 8.5281 90.00 90.00 90.00
Closest atoms and distances in Å follow each position.
Positions (direct):
1 Mg 0.0000 0.0000 0.0000  6 O 2.15-2.16
2 Mg 0.0000 0.0000 0.5000  6 O 2.12-2.16
3 Mg 0.0000 0.5000 0.2421  6 O 2.06-2.20
4 Mg 0.0000 0.5000 0.7579  6 O 2.06-2.20
5 Mg 0.5000 0.0000 0.2421  6 O 2.06-2.20
6 Mg 0.5000 0.0000 0.7579  6 O 2.06-2.20
7 Fe 0.5000 0.5000 0.0000  4 O 2.16
8 Si 0.5000 0.5000 0.5000  2 O 1.84
9 O 0.0000 0.0000 0.2515  6 Mg 2.12-2.16
10 O 0.0000 0.0000 0.7485  6 Mg 2.12-2.16
11 O 0.0000 0.5000 0.0000  4 Mg 2.06-2.16, 2 Fe 2.16
12 O 0.0000 0.5000 0.5000  4 Mg 2.16-2.20, 2 Si 2.16
13 O 0.5000 0.0000 0.0000  4 Mg 2.06-2.16, 2 Fe 2.16
14 O 0.5000 0.0000 0.5000  4 Mg 2.16-2.20, 2 Si 2.16
15 O 0.5000 0.5000 0.2847  1 Si 1.84
16 O 0.5000 0.5000 0.7153  1 Si 1.84

Summary:
Calculated total energy (eV per atom): -5.95
Symmetry: No. 123
Total magnetization (μB/f.u.): 2.89
Total energy after the MP2020 corrections (eV/atom): -6.435

***

Below is a relaxed PrV2ZnO6 crystal, with properties calculated at the PBE with a Hubbard U level.

Lattice parameters (Å, degrees): 5.3843 5.5687 9.3971 90.00 124.88 90.00
Closest atoms and distances in Å follow each position.
Positions (direct):
1 Pr 0.0000 0.1958 0.0000  5 O 2.33-2.58
2 Pr 0.0000 0.8042 0.5000  5 O 2.33-2.58
3 V 0.2637 0.2659 0.7523  6 O 1.94-2.15
4 V 0.2637 0.7341 0.2523  6 O 1.94-2.15
5 V 0.7639 0.2737 0.2503  3 O 1.80-1.97
6 V 0.7639 0.7263 0.7503  3 O 1.80-1.97
7 Zn 0.5088 0.2131 0.4998  3 O 1.98-2.04
8 Zn 0.5088 0.7869 0.9998  3 O 1.98-2.04
9 O 0.0030 0.4583 0.1987  2 V 1.91-1.94
10 O 0.0030 0.5417 0.6987  2 V 1.91-1.94
11 O 0.1410 0.2275 0.4998  1 Zn 1.98, 2 V 2.06-2.08
12 O 0.1410 0.7725 0.9998  1 Zn 1.98, 2 V 2.06-2.08
13 O 0.4286 0.2697 0.0022  2 V 1.97-1.98
14 O 0.4286 0.7303 0.5022  2 V 1.97-1.98
15 O 0.5115 0.0524 0.3068  1 Zn 2.03, 2 V 2.10-2.12
16 O 0.5115 0.9476 0.8068  1 Zn 2.03, 2 V 2.10-2.12
17 O 0.6142 0.4757 0.7998  1 V 1.80
18 O 0.6142 0.5243 0.2998  1 V 1.80
19 O 0.8899 0.0455 0.6968  1 Zn 2.04, 2 V 2.07-2.15
20 O 0.8899 0.9545 0.1968  1 Zn 2.04, 2 V 2.07-2.15

Summary:
Calculated total energy (eV per atom): -7.28
Symmetry: No. 7
Total magnetization (μB/f.u.): 3.00
Total energy after the MP2020 corrections (eV/atom): -8.033

***

Below is a relaxed FeBiO3 crystal, with properties calculated at the PBE with a Hubbard U level.

Lattice parameters (Å, degrees): 5.7047 5.7047 5.7047 58.97 58.97 58.97
Closest atoms and distances in Å follow each position.
Positions (direct):
1 Fe 0.0000 0.0000 0.0000  6 O 1.99-2.12
2 Fe 0.5000 0.5000 0.5000  6 O 1.99-2.12
3 Bi 0.2204 0.2204 0.2204  6 O 2.33-2.48
4 Bi 0.7204 0.7204 0.7204  6 O 2.33-2.48
5 O 0.1838 0.7830 0.3309  2 Fe 1.99-2.12
6 O 0.2830 0.6838 0.8309  2 Fe 1.99-2.12
7 O 0.3309 0.1838 0.7830  2 Fe 1.99-2.12
8 O 0.6838 0.8309 0.2830  2 Fe 1.99-2.12
........
Besides from the directives of the “compañera” (comrade) as Murillo is called, in the emails are “memos” urging political secretaries of higher rank to “coordinate actions” with the district political secretaries to implement the strategy devised by the Vice President.
The emails from April 19 to 23 were written in an urgent tone, in Courrier New font, size 17.5, and with the orders highlighted in red. The emails allow us to know first-hand how Murillo handled the crisis from day one, when she had not yet called the peaceful protesters “blood thirsty vampires.”
On April 19th, the Managua Departmental Committee convened an urgent meeting at 12:30 p.m. at the Japanese Park, in Managua. The protests in the streets began to take on a national dimension in Sandinista strongholds such as Leon and Esteli.
“We are calling an Emergency Meeting of the Institutional CLS, to be held TODAY, Thursday April 19th, at 12:30 noon, at the Japanese Park Auditorium, which must be attended by 5 “compañeros” from each institution,” invited the Sandinista Leadership Council. It called for two political secretaries, two Sandinista Youth coordinators and a general secretary of the unions to attend the meeting.
Call to Occupy 61 emblematic points
On April 20, at 4:04 in the afternoon, Murillo urged, through the Managua Departmental Committee, that the “emblematic points of our city” be “immediately” occupied.
“With instructions from our National Leadership, we must ensure the immediate presence of all our institutional militancy in 61 emblematic points of our city, as well as all the required logistics, in coordination with our District’s Political Secretaries, we will occupy these points for an indefinite period,” ordered the email.
The 61 sites described were divided by districts, and many of them are those that the government managed to take only three months later with the deployment of the armed paramilitary groups. Murillo assigned an “emblematic point” to each of the government ministries. For example, the Centroamerica roundabout was assigned to the Nicaraguan Municipal Development Institute (INIFOM) on April 20.
After the meeting in the Japanese Park and the directive to take Managua, Murillo sent another email on April 21 at 8:13 pm ordering the institutional Sandinista Leadership Council to “coordinate immediate actions with the District Political Secretaries.” The violence was blossoming and the repression, by that date, had caused six dead, including a policeman, and dozens of wounded, mostly students.
No “coup d’état”
In her email Murillo does not allude to the existence of any “coup d’état,” although she claims that “promoters of hatred and the empire seek to destroy peace in the life of our country.” That message corresponds to the directive that the Vice President sent on April 22 to the political secretaries of her cabinet, and the “compañeros” (her sons) Daniel Edmundo Ortega M., Juan Carlos Ortega M. Maurice Ortega M., owners of the television channels 4, 8 and 13. Murillo even included the hashtags to use in social networks.
Among the addressees of the directive, she added officials of the government’s cabinet, political secretaries in different institutions, ministers, the diplomatic corps, the children of the presidential couple, and official media outlets.
“We have communicated with each of you, to specify how we will continue to mobilize in all the established points, defending life. Our work is to defend life. Our work is to defend peace. They are generating crimes and violence throughout the country,” wrote Murillo. “Let us denounce every attempt, every threat, every assault on institutions, work centers, health centers, study centers. Let us report them immediately through our media. This is the defense of life. With each media report and in the social networks, and the brave actions in each place, let us defend life,” she added.
She ordered prayer
On Monday April 23, Murillo sent a second directive, this time extended to Nicaraguan ambassadors around the world. According to the Vice President, that day was Saint George’s Day, so “we woke up fighting the evils belonging to our own human condition, and becoming strong in the fight against the dragon, with the seal and arms of Saint George; with the sword of Saint Michael the Archangel and the cuirass of Saint Patrick, in the incessant calling of our churches to peace, dialogue, work and reconciliation.”
In the midst of this political-religious rhetoric, Murillo ordered for there to be convened in “every municipality, region, community, department of our country, vigils and days of prayer and peace, as Nicaraguan brothers and sisters, as Nicaraguan families, that are sure of what Nicaragua wants and needs: work, peace, tranquility and security.”
== Data records, as found in the file ==
'''
Model a:
# Li4Nb3Cr2Fe3O16

A relaxed structure of Li4Nb3Cr2Fe3O16 (GGA+U, Materials Project).

- Total moment: 19.7 Bohr magnetons per cell
- V: 312 Å³/cell

Structure (POSCAR):
```
Li4Nb3Cr2Fe3O16
1.0
5.2598 -3.0349 0.0000
5.2598 3.0349 0.0000
-0.2715 0.0000 9.7581
Li Nb Cr Fe O
4 3 2 3 16
Direct
0.0000 0.0000 0.0000
0.0070 0.0070 0.5133
0.3256 0.3256 0.6159
0.6566 0.6566 0.0980
0.1520 0.6513 0.2885
0.6513 0.1520 0.2885
0.8174 0.8174 0.7900
0.3179 0.3179 0.0100
0.6472 0.6472 0.5235
0.1603 0.1603 0.2833
0.3271 0.8240 0.7867
0.8240 0.3271 0.7867
0.0306 0.4718 0.1549
0.1433 0.6514 0.9022
0.1559 0.1559 0.8994
0.3159 0.8130 0.4019
0.3306 0.3306 0.4045
0.4682 0.4682 0.1622
0.4718 0.0306 0.1549
0.5125 0.5125 0.6588
0.5162 0.9460 0.6513
0.6514 0.1433 0.9022
0.6584 0.6584 0.8995
0.8130 0.3159 0.4019
0.8212 0.8212 0.3977
0.9460 0.5162 0.6513
0.9825 0.9825 0.1848
0.9856 0.9856 0.6943
```

***

Model b:
# Li4Nb3Cr2Fe3O16

A relaxed structure of Li4Nb3Cr2Fe3O16 (GGA+U, Materials Project).

- Total moment: 19.0 Bohr magnetons per cell
- V: 317 Å³/cell

Structure (POSCAR):
```
Li4Nb3Cr2Fe3O16
1.0
6.1182 0.0000 0.0000
3.0556 5.3037 0.0000
0.2752 -0.0792 9.7691
Li Nb Cr Fe O
4 3 2 3 16
Direct
0.0000 0.0000 0.0000
0.0126 0.9908 0.4842
0.3589 0.3184 0.1032
0.6968 0.6510 0.5816
0.2085 0.6450 0.7733
0.2119 0.1466 0.7741
0.3778 0.8165 0.2748
0.3785 0.3164 0.4915
0.7202 0.6378 0.0107
0.6969 0.1498 0.7700
0.8599 0.8164 0.2729
0.8646 0.3216 0.2726
0.0475 0.9880 0.1792
0.0567 0.9718 0.6701
0.0735 0.4647 0.6521
0.2112 0.1440 0.3863
0.2209 0.6466 0.3881
0.3441 0.3287 0.8871
0.3662 0.8159 0.8798
0.5000 0.0270 0.6405
0.5029 0.4706 0.6435
0.5410 0.9399 0.1337
0.5527 0.5066 0.1419
0.6862 0.6428 0.3866
0.7036 0.1557 0.3872
0.8891 0.8049 0.8863
0.8909 0.3057 0.8857
0.9904 0.4981 0.1438
```

***

Quick one: least stable of them? model a

***

Model a:
# MgFe8O14F2

A relaxed structure of MgFe8O14F2 (GGA+U, Materials Project).

- Total moment: 36.0 Bohr magnetons per cell
- V: 292 Å³/cell

Structure (POSCAR):
```
MgFe8O14F2
1.0
5.7597 0.0000 0.0000
2.3489 6.9017 0.0000
2.4400 0.1022 7.3468
Mg Fe O F
1 8 14 2
Direct
0.0000 0.0000 0.0000
0.1257 0.3653 0.6121
0.1808 0.8626 0.5821
0.4037 0.1451 0.8522
0.4565 0.6075 0.8165
0.5166 0.3980 0.1601
0.5691 0.8651 0.1405
0.8059 0.1363 0.4108
0.8670 0.6487 0.3735
0.0564 0.2578 0.8594
0.0633 0.1338 0.5320
0.2007 0.4657 0.3531
0.2219 0.6049 0.6841
0.2755 0.0443 0.0903
0.3146 0.8819 0.7780
0.4707 0.3618 0.9289
0.4915 0.2118 0.6008
0.5130 0.7894 0.3928
0.5326 0.6472 0.0326
0.6792 0.1219 0.2025
0.7809 0.5448 0.6174
0.9310 0.7396 0.1315
0.9576 0.8597 0.4512
0.7576 0.9633 0.8673
0.7727 0.4063 0.2929
```

***

Model b:
# MgFe8O14F2

A relaxed structure of MgFe8O14F2 (GGA+U, Materials Project).

- Total moment: 36.0 Bohr magnetons per cell
- V: 311 Å³/cell

Structure (POSCAR):
```
MgFe8O14F2
1.0
5.1905 0.0000 0.0000
1.0840 5.0942 0.0000
0.0973 0.0755 11.7695
Mg Fe O F
1 8 14 2
Direct
0.0000 0.0000 0.0000
0.3060 0.2959 0.2526
0.3130 0.3090 0.5005
'''
Murillo’s strategy turned to the chains of prayer in public institutions. On April 24th she ordered that they should “ensure chains of prayer, from 4:00 to 5:00 p.m., outside of each institution, invoking God for peace, dialogue, non-violence and life in Nicaragua.”
Murillo appealed for Sandinista unity
Although it did not transcend to the media, Murillo called for days of “Peace and Good-will Missions.” On the same April 24th, and in the same email in which she ordered chains of prayers, the Vice President attached a directive in which she asked for “the unity of Sandinismo.”
In those days, the Sandinista strongholds had rebelled against the Ortega-Murillo regime. The civic rebellion was unstoppable. Monimbo, the mythical indigenous and insurrectional neighborhood that praised the presidential couple every year during the “El Repliegue” (the retreat), had risen up and was confronting the police. Early on Sunday morning, April 22, ex-guerrilla and math teacher, Alvaro Gomez, woke up to a devastating news: the officers had killed his son with a bullet in the chest during the protests in Monimbo.
“In all the Sandinista Leadership Councils of municipalities and departments of the country we call to strengthen the unity of Sandinismo, incorporating all those comrades that request to work for non-violence, dialogue and peace,” urged Murillo.
On April 25th, the Vice President sent another directive thanking the bishops for accepting the role of mediators in the national dialogue. In the same communication, she requested that the Sandinista Leadership Councils in municipalities, departments, institutions, social movements, youths, embassies, consulates, ministries and state institutions hold from four o’clock in the afternoon vigils and chains of prayers. “With Daniel, with the Front, with the People as President,” added the official spokesperson of the dictatorship.
The strategy failed and then came the brutal repression with the police and paramilitary rifles.